[Assignment]
Copy the whole of the contents further below word for word.
[Input]
Zn3PO: optimized geometry, PBE.

Cell lengths 4.5538, 4.5538, 4.5538 Å; angles 90.00, 90.00, 90.00 degrees
With the nearest neighbours (Å) after each atom.
Fractional positions:
1 Zn 0.0000 0.5000 0.0000  2 P 2.28
2 Zn 0.0000 0.0000 0.5000  2 P 2.28
3 O 0.5000 0.5000 0.5000  12 Zn 3.22
4 Zn 0.5000 0.0000 0.0000  2 P 2.28
5 P 0.0000 0.0000 0.0000  6 Zn 2.28

formation energy (no corrections): 0.42 eV per atom
final energy: -2.42 eV per atom
space-group type: Pm-3m
[Response]
Zn3PO: optimized geometry, PBE.

Cell lengths 4.5538, 4.5538, 4.5538 Å; angles 90.00, 90.00, 90.00 degrees
With the nearest neighbours (Å) after each atom.
Fractional positions:
1 Zn 0.0000 0.5000 0.0000  2 P 2.28
2 Zn 0.0000 0.0000 0.5000  2 P 2.28
3 O 0.5000 0.5000 0.5000  12 Zn 3.22
4 Zn 0.5000 0.0000 0.0000  2 P 2.28
5 P 0.0000 0.0000 0.0000  6 Zn 2.28

formation energy (no corrections): 0.42 eV per atom
final energy: -2.42 eV per atom
space-group type: Pm-3m